Ethical Standards, Plagiarism policies, and good editing practices

- - -
No. 1
DFT (GGA-PBE) results for an optimized crystal structure of Y7Cu3Si3Se21.

a b c (Å): 10.220 10.245 18.052
angles (deg): 89.98 89.76 60.47
Atoms (fractional coordinates):
Y 0.000 0.000 0.000
Y 0.002 0.002 0.337
Y 0.004 0.998 0.669
Y 0.136 0.640 0.503
Y 0.139 0.638 0.171
Y 0.231 0.131 0.837
Y 0.232 0.133 0.170
Y 0.488 0.419 0.672
Y 0.495 0.412 0.002
Y 0.586 0.910 0.671
Y 0.588 0.906 0.337
Y 0.718 0.548 0.170
Y 0.722 0.545 0.837
Y 0.725 0.545 0.499
Cu 0.358 0.771 0.851
Cu 0.359 0.775 0.186
Cu 0.360 0.781 0.519
Cu 0.362 0.773 0.686
Cu 0.363 0.770 0.351
Cu 0.368 0.775 0.019
Si 0.027 0.441 0.308
Si 0.030 0.436 0.641
Si 0.031 0.440 0.972
Si 0.695 0.107 0.472
Si 0.695 0.107 0.809
Si 0.696 0.101 0.142
Se 0.026 0.443 0.432
Se 0.027 0.436 0.766
Se 0.028 0.440 0.099
Se 0.097 0.938 0.179
Se 0.101 0.936 0.511
Se 0.102 0.936 0.843
Se 0.196 0.677 0.675
Se 0.197 0.678 0.343
Se 0.201 0.678 0.016
Se 0.261 0.035 0.013
Se 0.262 0.356 0.259
Se 0.262 0.357 0.589
Se 0.263 0.035 0.682
Se 0.266 0.031 0.341
Se 0.266 0.347 0.926
Se 0.458 0.196 0.758
Se 0.458 0.199 0.093
Se 0.459 0.515 0.175
Se 0.460 0.512 0.846
Se 0.460 0.518 0.516
Se 0.464 0.184 0.426
Se 0.524 0.876 0.510
Se 0.525 0.866 0.840
Se 0.526 0.871 0.182
Se 0.622 0.609 0.346
Se 0.624 0.610 0.679
Se 0.626 0.614 0.010
Se 0.694 0.110 0.932
Se 0.695 0.108 0.600
Se 0.697 0.101 0.266
Se 0.781 0.254 0.090
Se 0.781 0.257 0.754
Se 0.789 0.250 0.426
Se 0.841 0.875 0.759
Se 0.846 0.871 0.087
Se 0.847 0.869 0.424
Se 0.874 0.671 0.926
Se 0.878 0.675 0.256
Se 0.880 0.674 0.590
Se 0.934 0.295 0.590
Se 0.939 0.293 0.257
Se 0.942 0.289 0.924

energy of formation from the pure elements = -1.29 eV/atom
total DFT energy (no corrections) = -5.331 eV/atom
total moment = 0.08 μB per formula unit
symmetry = P1

---

No. 2
DFT (GGA-PBE) results for an optimized crystal structure of Sm2Fe17B3.

a b c (Å): 6.567 6.567 6.567
angles (deg): 84.00 84.00 84.00
Atoms (fractional coordinates):
Sm 0.157 0.157 0.157
Sm 0.843 0.843 0.843
Fe 0.000 0.500 0.500
Fe 0.162 0.162 0.650
Fe 0.162 0.650 0.162
Fe 0.220 0.500 0.780
Fe 0.220 0.780 0.500
Fe 0.350 0.838 0.838
Fe 0.405 0.405 0.405
Fe 0.500 0.000 0.500
Fe 0.500 0.220 0.780
Fe 0.500 0.500 0.000
Fe 0.500 0.780 0.220
Fe 0.595 0.595 0.595
Fe 0.650 0.162 0.162
Fe 0.780 0.220 0.500
Fe 0.780 0.500 0.220
Fe 0.838 0.350 0.838
Fe 0.838 0.838 0.350
B 0.000 0.000 0.500
B 0.000 0.500 0.000
B 0.500 0.000 0.000

energy of formation from the pure elements = -0.06 eV/atom
total DFT energy (no corrections) = -7.942 eV/atom
total moment = 35.20 μB per formula unit
symmetry = R-3m

---

No. 3
DFT (GGA-PBE) results for an optimized crystal structure of MoPd2.

a b c (Å): 4.807 4.807 4.807
angles (deg): 146.40 131.26 60.50
Atoms (fractional coordinates):
Mo 0.000 0.000 0.000
Pd 0.335 0.335 0.000
Pd 0.665 0.665 0.000

energy of formation from the pure elements = -0.10 eV/atom
total DFT energy (no corrections) = -7.172 eV/atom
symmetry = Immm

---

No. 4
- - -

Divergencia has a series of ethical guidelines, which indicate the responsibilities and behaviours of editors, authors and peer reviewers.

Editorial Team

  • When an article is sent, it acknowledges its receipt, guarantees an efficient review process, and informs the authors in a timely manner the process in which the article is undergoing.
  • The Editorial Team makes the final decision to accept or reject a manuscript, taking into account the recommendations derived from the blind peer review evaluation process and the editorial review of the article, with reference to the criteria of quality, importance, relevance, originality and contribution to the discipline.
  • Identify any conflict of interest between the authors and evaluators which may arise in the process of evaluating the article
  • Undertakes the search for evaluators, taking into account their academic career, knowledge and publications on the theme to be evaluated, and it guarantees their anonymity during the process of evaluation.
  • The evaluation of the articles is carried out under the double blind mechanism (blind peer review), so the authors are not discriminated by their academic or professional category, or by their geographical origin or gender.
  • Considers the use of peers proposed by an author, ensuring that the opinion in question is objective. In addition, it does not use reviewers whom an author has asked it not to consult, unless it may guarantee the establishment of an impartial arbitration.
  • When the editor is the author of a manuscript and wishes it to be submitted to evaluation, he or she must hand it over to another member of the Editorial Team so that that member may undertake the choice of arbiters.
  • Respect the intellectual position and ideas presented by the author in his manuscript
  • Editors may not use information on the articles received in any of the calls for articles, for the benefit of their own research.
  • It must respond diligently to the request for retraction, correction, complaint and clarifications, ensuring the conduct of an appropriate investigation aimed at the fastest resolution of a problem.
  • It is responsible for placing corrections and/or clarifications on the website of Divergencia when it recognizes a lack of accuracy or a mistake in a published content.
  • Defines and continually reviews its editorial policies, so that Divergencia complies with standards which enable it to position itself as an academic publication with a national and international standing.
  • It is responsible for the dissemination and distribution of the published contents among the authors, evaluators and entities with which it has exchange agreements, as well as national and international repositories and indexing systems, within the agreed on time limits.
  • When Divergencia is interested in reproducing a previously published article, it commits itself to requesting the authorization of the author and publication where it first appeared


  • The articles submitted to Divergencia should be original and unpublished and must not simultaneously be in a process of evaluation by or have editorial commitments with another publication.
  • The authors are the ones who are responsible for the ideas expressed in their article. In the author’s authorization of property rights, they must explicitly state that the text is of their authorship and in the same authorization that they respect the intellectual property rights of third parties.
  • The authors of texts and multimedia files (photography, audio and videos) that are accepted must authorize Divergencia to use the author’s economic rights (reproduction, public communication, transformation and distribution), by signing the “Document of Authorization of Use of Intellectual Property Rights,” to include the contents in  Divergencia (electronic version). In the same document, the authors must confirm the fact that the materials are of their own authorship and that the intellectual property rights of third parties are respected in it.
  • They must request the due authorizations for the use, reproduction and printing of the material which is not of their property/authorship (charts, graphics, maps, diagrams, photographs, and etcetera.)
  • When they use ideas which are not their own, they must acknowledge and give credit to their author and make a correct citation and reference, in accordance with the norms on Rights of the author. Otherwise, the author will be considered to have committed plagiarism.
  • Divergencia may call the drafting of an article a fraud if it does not provide documentation which supports the ideas which are set forth and suppresses or alters the data which are presented.
  • It is considered a scientific fraud: biased manipulation, misleading information, selective communication, invention, falsification, or concealment or misrepresentation of data. If such a practice is detected, the article will be immediately removed from the editorial process and the journal reserves the right to notify the authorities of the institution in which the author works
  • The author may commit an ethical fault when he or she submits a manuscript which has already been published by the author without citing the previous publication or showing new advances on the previously published material.
  • When someone wishes to reproduce, translate or publish an article published in Divergencia, they must ask for an authorization by the Editorial Team.
  • The author should not suggest evaluators with whom the author or authors has/have previously done collaborative studies.
  • The authors should state their sources of funding and that there are no conflicts of interest.
  • The authors should give credit to all those who participated in the study and those who have made significant contributions to the investigation should be regarded as co-authors. Likewise, authors who have not directly contributed to the drafting of the manuscript should not be included.
  • The authors should ensure that the article does not contain personal criticisms of other academics. If criticisms of other studies are made, they must be clearly justified.
  • In cases when the investigation involved the use of animals or humans, it is necessary to annex a declaration which indicates the experimental method, the informed consent for the experimentation with humans and the name of the institutions which approved the experiments


  • The Editorial Team will remit the article to the peer reviewer and a format which includes questions with carefully defined criteria which must be taken into account for the writing of the evaluation.
  • They must evaluate the article in an objective, neutral and impartial manner, indicating the aspects which need to be strengthened and without making personal criticisms in the review.
  • In the case of personal or professional conflicts of interest, they should inform the editor, who will decide whether the evaluator should continue arbitrating the manuscript.
  • The peer reviewers should support and clearly explain their doubts about the investigation they are assessing, so that the author will have a sufficient notion of the article’s faults and will be able to strengthen the article.
  • They should inform the Editorial Team about any similarity between the article they are arbitrating and another which has already been published.
  • The evaluator should not use the article submitted for his evaluation to benefit his or her own investigations or the work of third parties.
  • In the evaluated article and the assessment sent to Divergencia, the peer reviewers should indicate parts where the manuscript has plagiarism or falsified data which compromise the work of other investigators.
  • Evaluators should consider manuscripts as privileged information and should treat it as confidential. They are not allowed to share it with any colleague or another person.

The evaluators are responsible for suggesting that the article be accepted, rejected or approved with the modifications they suggest and should send their decision to Divergencia within the agreed on time limits. 

Plagiarism Policy.

Divergencia does not accept plagiarism or scientific fraud as part of its transparency process and good editing practice.

It is understood as plagiarism: to present the work (whether ideas, words or a complete text) of other authors as their own, not to use quotation marks or other badge when making literal quotes, giving wrong information about a quote (incorrect year, incorrect page, non-existent text, etc.), paraphrase without mentioning the source. In addition, scientific fraud is understood as, duplicate a publication (submit an article already published, self-plagiarism), manufacture, falsify, and omit data, and conflicts of authorship over a text.

In case of detecting plagiarism, Divergencia will adopt the following actions:

  • The author will be informed about plagiarism and explanations will be requested to justify his actions.
  • If the explanations are not satisfactory, the manuscript will be left out of the editorial process and other articles of the author will not be evaluated in the future. In addition, if applicable, those considered relevant (other media, institutions, etc.) will be informed about the situation.